Archived Episodes
Activate Your Cosmic DNA with Eva Marquez
Did you know that we all carry with in us the spiritual DNA of our cosmic family? In her new book, Cosmic DNA author and channel Eva Marquez will teach you how to discover your starseed lineage. Learn how to activa...
Unlocking The Ancient Secrets to Healing with Gail Lynn
Why science is looking to the past for the future of medicine. Call in to the show with your questions 1.800.930.2819
Am I an Empath? with Special Guest Allyson Blythe
What is the difference between the feeling of empathy vs being an Empath and how you can find out more! https://www.fac...
Encore: Choosing your Empowered Life with Special Guest- Dana Pellegrini
I am super excited to bring in my special guest, Dana Pellegrini to this episode! She is my dear friend and client, as well as a true Soul Sister. Dana has been a lifelong student and teacher of awakeni...
Education Funding-Steve Rueschhoff!
Steve Rueschhoff discusses new study by Edward Jones on the importance of saving for higher education. Nearly half of Americans do not believe they are saving enough for education. Learn a...
Having Fully Expressed Polyamorous Relationships with Elizabeth Cunningham
Do you believe that you have to sacrifice parts of yourself when creating relationships? When you get in relationships do you automatically assume that it's normal to hide different aspects of who you are? Do you h...
Down to Earth Psychic Medium meets Woo-Woo Queen with special guest- Veronica Drake
LIVE CALL-IN SHOW 1-800-930-2819 **** Get a reading, ask for clarity, receive healing**** Veronica Drake, international speaker, past life reader, and spiritual messenger joins ...
Building a Healthy Life with Karissa Adkins
In today’s world, It has become far too easy to put our own health and happiness on the backburner. However, with a solid game plan for success, a strong mindset, and a lifestyle full of healthy habits you to...
Love in the Time of Impermanence with Matthew McKay
Collaborating with his late son, Jordan, McKay offers five ways to keep love alive in a world of impermanence. He explores how to see and know what we love, how to actively care for what we love, how to have compas...
Three Foundations of Strength: Power, Fearlessness and Resilience with Special Guest Sara...
True strength provides us with steady protection against the challenges of life. When we access our true strength, it shows itself in different forms. Join Dr Pat and her guest Sarah Mane as they ex...
The Four-Fold Formula for All Things Wellness with Special Guest Peggy Willms
The Four-Fold Formula for All Things Wellness is a compilation book written with 40 Contributing Authors to be released this summer. The Co-Authors are Peggy Willms, certified health and wellness expe...
# Calculated crystals from another source follow
........
(1)
Density functional theory data (PBE-GGA) for La2DySc after structural relaxation.

a = 3.681 Å, b = 6.024 Å, c = 6.024 Å
α = 105.15°, β = 90.00°, γ = 90.00°
Positions (direct):
La1 0.000 0.500 0.000
La2 0.000 0.000 0.500
Dy1 0.500 0.000 0.000
Sc1 0.500 0.500 0.500

total moment = 0.000 μB/f.u.
E_form = 0.053 eV/atom

(2)
Density functional theory data (PBE-GGA) for NaScIn2Co after structural relaxation.

a = 5.039 Å, b = 5.039 Å, c = 4.620 Å
α = 90.00°, β = 90.00°, γ = 90.00°
Positions (direct):
Sc1 0.000 0.000 0.500
Na1 0.500 0.500 0.500
Co1 0.000 0.000 0.000
In1 0.000 0.500 0.000
In2 0.500 0.000 0.000

total moment = 0.000 μB/f.u.
E_form = -0.109 eV/atom

(3)
Density functional theory data (PBE-GGA) for KLi2Te after structural relaxation.

a = 4.056 Å, b = 4.055 Å, c = 8.201 Å
α = 90.00°, β = 90.00°, γ = 90.00°
Positions (direct):
K1 0.500 0.500 0.692
Li1 0.000 0.000 0.087
Li2 0.500 0.500 0.314
Te1 0.000 0.000 0.408

total moment = 0.000 μB/f.u.
raw formation energy = -2.02 eV/f.u.

(4)
Density functional theory data (PBE-GGA) for Zn5Cu4 after structural relaxation.

a = 3.676 Å, b = 5.978 Å, c = 5.978 Å
α = 84.58°, β = 72.10°, γ = 72.10°
Positions (direct):
Zn1 0.673 0.327 0.327
Zn2 0.327 0.673 0.673
Zn3 0.000 0.000 0.000
Zn4 0.000 0.673 0.327
Zn5 0.000 0.327 0.673
Cu1 0.667 0.000 0.667
Cu2 0.333 0.333 0.000
Cu3 0.333 0.000 0.333
Cu4 0.667 0.667 0.000

total moment = 0.000 μB/f.u.
E_form = -0.071 eV/atom

(5)
Density functional theory data (PBE-GGA) for CeDyTeN2 after structural relaxation.

a = 3.978 Å, b = 3.978 Å, c = 7.247 Å
α = 105.93°, β = 105.93°, γ = 90.00°
Positions (direct):
Ce1 0.171 0.171 0.342
Dy1 0.831 0.831 0.662
Te1 0.501 0.501 0.001
N1 0.749 0.249 0.497
N2 0.249 0.749 0.497

total moment = 0.000 μB/f.u.
raw formation energy = -6.61 eV/f.u.

(6)
Density functional theory data (PBE-GGA) for PrScSO2 after structural relaxation.

a = 3.947 Å, b = 3.947 Å, c = 5.890 Å
α = 90.00°, β = 90.00°, γ = 90.00°
Positions (direct):
Pr1 0.500 0.500 0.680
Sc1 0.000 0.000 0.030
S1 0.000 0.000 0.457
O1 0.000 0.500 0.917
O2 0.500 0.000 0.917

total moment = 0.000 μB/f.u.
raw formation energy = -15.19 eV/f.u.

(7)
Density functional theory data (PBE-GGA) for BC4 after structural relaxation.

a = 10.755 Å, b = 10.755 Å, c = 10.755 Å
α = 13.71°, β = 13.71°, γ = 13.71°
Positions (direct):
B1 0.149 0.149 0.149
B2 0.601 0.601 0.601
C1 0.797 0.797 0.797
C2 0.953 0.953 0.953
C3 0.399 0.399 0.399
C4 0.749 0.749 0.749
C5 0.202 0.202 0.202
C6 0.548 0.548 0.548
C7 0.001 0.001 0.001
C8 0.351 0.351 0.351

total moment = 0.000 μB/f.u.
E_form = 0.267 eV/atom

(8)
Density functional theory data (PBE-GGA) for SmSi2NiRu after structural relaxation.

a = 4.010 Å, b = 4.010 Å, c = 5.801 Å
α = 110.22°, β = 110.22°, γ = 90.00°
Positions (direct):
Sm1 0.000 0.000 0.000
Si1 0.626 0.626 0.251
Si2 0.374 0.374 0.749
Ni1 0.750 0.250 0.500
Ru1 0.250 0.750 0.500

total moment = 0.000 μB/f.u.
raw formation energy = -4.23 eV/f.u.

no.,E_tot (eV per atom)
1,-5.145
2,-4.155
........
Use of Animals in Deadly Experiments-Emily Trunnell! Job Seekers Lack Skills to Access Go...
Dr. Trunnell discusses PETA scientists' Research Modernization Deal (RMD), a detailed strategy for ending animal experiments. The RMD plan can save the lives of billions of animals every year! FREE...
Friday, June 10, 2022
Host: Dr. Pat Baccili
Guests: Emily Trunnell Ph.D., Steven Preston , Eileen Aparis
Choosing Your Empowered Life with Special Guest- Cheryl Clark
This episode is going features a very accomplished business strategist as well as a humanitarian and leader, Cheryl Clark. She is going to share with us her amazing story of survival and how she was a...
The Dance Between Ego & Soul with Claudia-Sam
Choosing between the mind and the heart, or in other words, between a life led from Fear and a life led from Love.
The Mysticism in Ancient Sanskrit with Sarah Mane
Sanskrit has a mysterious and mystical power. Even for those who know little about it, the shape of the letters and the beauty of the sound is magnetic. Join Dr Pat and her guest Sarah Mane as they ...
How to love our bodies and tune into our inner wisdom with special guest Martine Emmons
Gratitude for this beautiful vessel that houses our souls!!
The Condor and the Eagle Prophecy as a mirror of our time with Itzhak Beery
Ancient prophecies of the High Andes and Brazilians Amazon foresaw these coming times of profound transitions, and we may want to take note, of these optimistic perspectives.
Spirit Partners for Life with Special Guest David Buck
This episode is our Spirit Partners episode and Pam will be interviewing her special guest and co-host David. We will be speaking about the energetics of our sacred marriage and how we moment to moment create...
ANGEL FIRST AID TECHNIQUES with The Angel Lady Sue Storm
Improve your life through the use of Angel First Aid Techniques. These include visualizations and remedies for all facets of life--love, relationships, health, career, and finances. Allow yourself to be elevated to...
Your Life, Your Transformation with Christine Clark
Transformation is the name of the game of Life. Whether you want to deepen your love relationship, make that side hustle your primary endeavor, climb a mountain, write your book, or expand your business it requires...
Manifest and Rediscover with Tiffany Watkins
Realizing the path you’re on isn’t leading you anywhere near where you want to be in life can be confusing and scary. Let’s talk about the ways that you can redirect yourself and transform into th...
Metaphysical skills - everyone needs now! with special guest hosts Jason and Patricia Rohn
Metaphysics has been discredited for years and is not considered creditable in scientific and evidence-based bodies of knowledge! In this show we will make the case for everyone to know and study metaphysics ...
Channeled Messages with special guest host- Pam Bright
Dr. Pat has graciously given Pam Bright her platform today for The Empower Me Show. As we navigate through many changes in 2022, the month of May brings with it the energies of rebirth, new beginnings, spring...